Many business owners encounter difficulties obtaining prompt payment from customers. Such situations can make it hard for a company to turn a profit or even keep up with its expenses.
When things get really tough, you might want to consider monetizing your receivables. Doing so is far from an ideal first step to remedying slow cash flow, but the strategy might be feasible under some circumstances.

Look Into a Loan
Along with equipment and property, unpaid invoices can provide banks with collateral for a line of credit. This form of secured borrowing is typically an ongoing arrangement that allows a company to leverage receivables from the moment they’re issued.
Banks and other financial institutions typically charge both fees and interest for securitized receivables, which remain an asset of the borrower. These invoice-financing arrangements may provide immediate loans for a substantial percentage of the value of an outstanding debt and are typically paid back when the customer pays its bill. Each financial institution sets its own rates and conditions for these loans, which often depend on criteria such as your:
- Overall financial situation,
- Customer mix,
- Annual revenues, and
- Collection history.
For example, say a longstanding company with $10 million in annual revenue couldn’t make payroll after two of its biggest clients waited 90 days to pay outstanding invoices.
Looking to prevent this cash flow crunch in the future, the business owner met with a local banker, who was able to extend a $180,000 line of credit at a competitive interest rate. To secure the loan, the company was required to put up $200,000 in unpaid invoices as collateral and then pay back the loan, plus fees and interest, once customers remitted payments.
Consider Factoring
Another option for businesses looking to ease their cash flow woes is the sale of unpaid — but not yet delinquent — invoices to financial firms specializing in accounts receivable “factoring.” Rather than obtaining a short-term loan for unpaid invoices, factoring allows companies to receive an immediate cash payment through the sale of the receivable to a third party.
Costs associated with receivables factoring can be much higher than those for collateral-based loans or other forms of traditional commercial bank financing. What’s more, factoring providers will likely scrutinize the creditworthiness of your customers. Still, particularly for smaller businesses, selling receivables for upfront cash could be advantageous because it reduces the burden on accounting staff and saves time.
For instance, a small business faced cash flow issues because, increasingly, many of its customers were waiting up to 90 days to pay their bills. As a result, the company’s owner routinely used a high-interest-rate credit card to make payroll and spent at least five business days a month chasing down late bills.
Finally, the owner sold off about $200,000 of its annual receivables to an online factoring firm. Doing so saved him about 1,000 labor hours annually and enabled him to lower his high-interest credit card payments — all while considerably easing cash flow concerns.
The Right Call
Ideally, business owners should manage their cash flows so that revenue from receivables goes where it belongs — to the company. There are major risks to monetizing receivables too often or even doing it once at the wrong time. Work closely with your CPA to determine whether it’s the right call for your business.
Dealing with Delinquent Debt
These data records were left in the page by mistake >
'''
1.
A plane-wave DFT calculation with meta-GGA r2SCAN was carried out for Rb after structural relaxation.

Summary:
Energy above the most stable polymorph in this dataset: 14 meV/atom
M_tot: 0.00 μB/f.u.
ΔH_f (0 K): 0.32 kcal/mol of atoms

Cell: 17.6996 17.6996 17.6996 Å, 90.00 90.00 90.00°
Closest atoms and distances in Å follow each position.
Space group I-43m (No. 217)
Symmetry-distinct sites (fractional):
Rb 0.0000 0.0000 0.0000 [2 per cell]  16 Rb 5.49-5.59
Rb 0.0425 0.3604 0.3604 [24 per cell]  8 Rb 4.77-5.21
Rb 0.0917 0.0917 0.2818 [24 per cell]  6 Rb 4.59-5.03
Rb 0.1822 0.1822 0.8178 [8 per cell]  10 Rb 4.99-5.59

2.
A plane-wave DFT calculation with meta-GGA r2SCAN was carried out for Rb after structural relaxation.

Summary:
Energy above the most stable polymorph in this dataset: 10 meV/atom
M_tot: 0.00 μB/f.u.
ΔH_f (0 K): 0.23 kcal/mol of atoms

Cell: 5.0888 5.0888 16.8837 Å, 90.00 90.00 120.00°
Closest atoms and distances in Å follow each position.
Space group P6_3/mmc (No. 194)
Symmetry-distinct sites (fractional):
Rb 0.0000 0.0000 0.0000 [2 per cell]  12 Rb 5.09-5.14
Rb 0.3333 0.6667 0.2500 [2 per cell]  12 Rb 5.09-5.14

3.
A plane-wave DFT calculation with meta-GGA r2SCAN was carried out for Rb after structural relaxation.

Summary:
Energy above the most stable polymorph in this dataset: 48 meV/atom
M_tot: 0.00 μB/f.u.
ΔH_f (0 K): 1.11 kcal/mol of atoms

Cell: 11.5800 16.9080 25.5522 Å, 90.00 90.00 90.00°
Closest atoms and distances in Å follow each position.
Space group C222_1 (No. 20)
Symmetry-distinct sites (fractional):
Rb 0.0000 0.1066 0.2500 [4 per cell]  10 Rb 4.89-5.37
Rb 0.0006 0.3930 0.0740 [8 per cell]  10 Rb 4.88-5.46
Rb 0.0525 0.1122 0.5998 [8 per cell]  5 Rb 4.59-5.10
Rb 0.1055 0.3752 0.6831 [8 per cell]  2 Rb 4.20-4.32
Rb 0.1744 0.1335 0.0467 [8 per cell]  2 Rb 4.32-4.59
Rb 0.2277 0.3649 0.2604 [8 per cell]  9 Rb 4.84-5.33
Rb 0.2461 0.3527 0.9110 [8 per cell]  8 Rb 4.75-5.17

Question: Which formula does entry 3 have?
Answer: Rb

Question: The highest ΔH_f (0 K) belongs to which entry?
Answer: number 3

Question: What is the formula in the second record?
Answer: Rb
'''
So much for the data records >
Banks and factoring firms (see main article) generally won’t buy or loan money against accounts receivable more than 90 days past due. For many companies, the 91st day after an invoice has been issued marks the beginning of the dreaded collection process, which typically means letters and phone calls of increasing frequency and urgency.
After 120 days, some businesses may attempt to seek a legal remedy, contract with a commission-based collection agency or sign on with another third-party firm that buys the debt outright for a low cost. When a late bill becomes bad debt, bear in mind these dangers:
Legal fees are expensive. Business owners often throw good money after bad by attempting to chase down nonpaying clients through the court system. Work with your attorney and CPA to ensure that suing for nonpayment is worth the investment.
Going off-script can cost you. Every company should have an established protocol for collections. Once a bill goes delinquent, it’s important to carefully follow procedures to increase the likelihood of payment and guard against legal liability.
Something isn’t always better than nothing.Your nonpaying customer might soon be bankrupt, which could mean you’ll never get paid. Ask your tax advisor whether writing off a bad debt makes more sense than spending time and money pursuing it.